Now set down the block further below without altering anything.
<P>
Computed, not measured: 2 unconnected molecules or ions with the total composition C5H6OS, with wB97M-V/def2-TZVPD.

Computed properties:
Highest occupied orbital energy = -8.7 eV
Gap between HOMO and LUMO = 9.21 eV
LUMO level = 0.466 eV

The geometry in XYZ format:
```
13
Properties=species:S:1:pos:R:3:lowdin_charge:R:1
S 2.3764 -0.0875 -0.7708 0.674
O -2.1953 0.3090 -0.8454 0.018
C -0.7445 -1.0488 0.1485 -0.053
C -0.1721 0.2346 0.0854 -0.351
C 1.2040 0.7026 0.3152 -0.582
C -1.1414 1.0431 -0.5460 -0.063
C -1.9921 -0.9088 -0.4134 -0.147
H 1.2765 1.7130 0.0577 0.007
H -2.8618 -1.6897 -0.4628 0.164
H -0.4126 -1.9590 0.5920 0.107
H -1.2160 1.9538 -1.0424 0.119
H 1.7002 -1.3247 -0.9451 -0.088
H 1.7911 0.6551 1.9600 0.194
```

<Q>
Computed, not measured: 2 unconnected molecules or ions with the total composition C5H6OS, with wB97M-V/def2-TZVPD.

Computed properties:
Highest occupied orbital energy = -8.8 eV
Gap between HOMO and LUMO = 8.92 eV
LUMO level = 0.156 eV

The geometry in XYZ format:
```
13
Properties=species:S:1:pos:R:3:lowdin_charge:R:1
S -1.4105 1.7528 1.4029 0.990
O 0.6317 -1.8697 -1.2276 -0.199
C -0.1573 0.0544 -0.1498 -0.282
C -0.2285 0.7816 2.0734 -0.489
C 0.3543 -0.1414 1.2268 -0.136
C 0.6685 -0.4813 -1.3214 -0.325
C -1.1360 1.1022 -0.1123 -0.417
H -1.6934 1.4331 -0.9605 0.054
H 0.0886 0.7837 3.1355 0.078
H 0.3259 -0.1789 -2.4431 0.149
H 1.7561 -0.1662 -1.2218 0.130
H -0.5110 -2.2817 -1.8053 0.299
H 1.3115 -0.7887 1.4031 0.147
```

Top of the stability list: <Q>, leading by 0.0243 hartree.

<P>
Computed, not measured: a molecular structure, C5H6OS, with wB97M-V/def2-TZVPD.

Computed properties:
Highest occupied orbital energy = -8.5 eV
Gap between HOMO and LUMO = 8.66 eV
LUMO level = 0.183 eV

The geometry in XYZ format:
```
13
Properties=species:S:1:pos:R:3:lowdin_charge:R:1
S -2.7485 -0.2803 0.1684 0.815
O 0.6388 -0.1889 1.4087 -0.107
C 0.8292 0.6373 0.0910 -0.200
C -0.0810 -1.1461 0.3862 -0.162
C 0.9916 -0.7384 -0.6924 -0.030
C -0.5947 1.2079 0.0418 -0.187
C -1.2234 -0.0789 0.1783 -0.844
H 0.6025 -0.9319 -1.6710 0.105
H -0.7979 1.7334 -0.8849 0.125
H -1.0476 1.8004 0.8002 0.115
H 1.8182 1.2871 -0.0281 0.171
H 1.9127 -1.2095 -0.4143 0.106
H -0.3000 -2.0920 0.6159 0.092
```

<Q>
Computed, not measured: a single C5H6OS molecule, with wB97M-V/def2-TZVPD.

Computed properties:
Highest occupied orbital energy (alpha / beta) = -6.9 / -6.9 eV
Gap between HOMO and LUMO (alpha / beta) = 6.91 / 6.71 eV
LUMO level (alpha / beta) = 0.014 / -0.147 eV

The geometry in XYZ format:
```
13
Properties=species:S:1:pos:R:3:lowdin_charge:R:1
S -3.8271 -0.2488 0.1240 0.648
O -1.7314 2.9531 0.0341 0.106
C -1.1157 1.9394 -0.1097 -0.164
C 0.2535 -0.1677 -0.3222 -0.213
C -2.2307 -0.3272 -0.0966 -0.644
C 0.2457 1.3566 -0.0846 -0.167
C -0.9689 -0.9459 0.2197 -0.300
H 0.5832 1.4348 0.8882 0.093
H 0.8633 1.8973 -0.8854 0.159
H 1.2074 -0.5192 0.1035 0.120
H -0.8639 -0.7149 1.2680 0.116
H -0.8933 -2.0585 0.0437 0.139
H 0.1134 -0.2861 -1.3995 0.108
```

Top of the stability list: <P>, leading by 0.0204 hartree.

<P>
Computed, not measured: a single C6H5N3O2 molecule, with wB97M-V/def2-TZVPD.

Computed properties:
Highest occupied orbital energy (alpha / beta) = -9.7 / -8.6 eV
Gap between HOMO and LUMO (alpha / beta) = 8.21 / 7.53 eV
LUMO level (alpha / beta) = -1.486 / -1.091 eV

The geometry in XYZ format:
```
16
Properties=species:S:1:pos:R:3:lowdin_charge:R:1
O -0.0519 0.6112 2.8675 0.055
O -0.2022 -1.3950 2.0387 0.085
N 2.0932 0.4842 1.0391 0.202
N -0.1354 -0.1871 1.9311 -0.397
N -0.2330 1.6852 0.3950 0.127
C -1.4142 -2.2435 -2.2621 -0.090
C -0.7584 -0.5011 -0.4576 0.056
C -1.0277 -1.1896 -1.3901 -0.076
C 2.1237 1.7171 0.8865 -0.194
C -0.2221 0.3131 0.5863 -0.211
C 0.7977 2.3936 0.4292 -0.058
H -2.2977 -1.9813 -2.9116 0.100
H -1.6407 -2.9311 -1.4346 0.101
H 2.9827 2.3228 1.0718 0.096
H -0.7167 -2.5261 -3.1110 0.108
H 0.7026 3.4277 0.3218 0.094
```

<Q>
Computed, not measured: a single C6H5N3O2 molecule, with wB97M-V/def2-TZVPD.
<P>
Computed, not measured: 2 unconnected molecules or ions with the total composition C5H6OS, with wB97M-V/def2-TZVPD.

Computed properties:
Highest occupied orbital energy = -8.7 eV
Gap between HOMO and LUMO = 9.21 eV
LUMO level = 0.466 eV

The geometry in XYZ format:
```
13
Properties=species:S:1:pos:R:3:lowdin_charge:R:1
S 2.3764 -0.0875 -0.7708 0.674
O -2.1953 0.3090 -0.8454 0.018
C -0.7445 -1.0488 0.1485 -0.053
C -0.1721 0.2346 0.0854 -0.351
C 1.2040 0.7026 0.3152 -0.582
C -1.1414 1.0431 -0.5460 -0.063
C -1.9921 -0.9088 -0.4134 -0.147
H 1.2765 1.7130 0.0577 0.007
H -2.8618 -1.6897 -0.4628 0.164
H -0.4126 -1.9590 0.5920 0.107
H -1.2160 1.9538 -1.0424 0.119
H 1.7002 -1.3247 -0.9451 -0.088
H 1.7911 0.6551 1.9600 0.194
```

<Q>
Computed, not measured: 2 unconnected molecules or ions with the total composition C5H6OS, with wB97M-V/def2-TZVPD.

Computed properties:
Highest occupied orbital energy = -8.8 eV
Gap between HOMO and LUMO = 8.92 eV
LUMO level = 0.156 eV

The geometry in XYZ format:
```
13
Properties=species:S:1:pos:R:3:lowdin_charge:R:1
S -1.4105 1.7528 1.4029 0.990
O 0.6317 -1.8697 -1.2276 -0.199
C -0.1573 0.0544 -0.1498 -0.282
C -0.2285 0.7816 2.0734 -0.489
C 0.3543 -0.1414 1.2268 -0.136
C 0.6685 -0.4813 -1.3214 -0.325
C -1.1360 1.1022 -0.1123 -0.417
H -1.6934 1.4331 -0.9605 0.054
H 0.0886 0.7837 3.1355 0.078
H 0.3259 -0.1789 -2.4431 0.149
H 1.7561 -0.1662 -1.2218 0.130
H -0.5110 -2.2817 -1.8053 0.299
H 1.3115 -0.7887 1.4031 0.147
```

Top of the stability list: <Q>, leading by 0.0243 hartree.

<P>
Computed, not measured: a molecular structure, C5H6OS, with wB97M-V/def2-TZVPD.

Computed properties:
Highest occupied orbital energy = -8.5 eV
Gap between HOMO and LUMO = 8.66 eV
LUMO level = 0.183 eV

The geometry in XYZ format:
```
13
Properties=species:S:1:pos:R:3:lowdin_charge:R:1
S -2.7485 -0.2803 0.1684 0.815
O 0.6388 -0.1889 1.4087 -0.107
C 0.8292 0.6373 0.0910 -0.200
C -0.0810 -1.1461 0.3862 -0.162
C 0.9916 -0.7384 -0.6924 -0.030
C -0.5947 1.2079 0.0418 -0.187
C -1.2234 -0.0789 0.1783 -0.844
H 0.6025 -0.9319 -1.6710 0.105
H -0.7979 1.7334 -0.8849 0.125
H -1.0476 1.8004 0.8002 0.115
H 1.8182 1.2871 -0.0281 0.171
H 1.9127 -1.2095 -0.4143 0.106
H -0.3000 -2.0920 0.6159 0.092
```

<Q>
Computed, not measured: a single C5H6OS molecule, with wB97M-V/def2-TZVPD.

Computed properties:
Highest occupied orbital energy (alpha / beta) = -6.9 / -6.9 eV
Gap between HOMO and LUMO (alpha / beta) = 6.91 / 6.71 eV
LUMO level (alpha / beta) = 0.014 / -0.147 eV

The geometry in XYZ format:
```
13
Properties=species:S:1:pos:R:3:lowdin_charge:R:1
S -3.8271 -0.2488 0.1240 0.648
O -1.7314 2.9531 0.0341 0.106
C -1.1157 1.9394 -0.1097 -0.164
C 0.2535 -0.1677 -0.3222 -0.213
C -2.2307 -0.3272 -0.0966 -0.644
C 0.2457 1.3566 -0.0846 -0.167
C -0.9689 -0.9459 0.2197 -0.300
H 0.5832 1.4348 0.8882 0.093
H 0.8633 1.8973 -0.8854 0.159
H 1.2074 -0.5192 0.1035 0.120
H -0.8639 -0.7149 1.2680 0.116
H -0.8933 -2.0585 0.0437 0.139
H 0.1134 -0.2861 -1.3995 0.108
```

Top of the stability list: <P>, leading by 0.0204 hartree.

<P>
Computed, not measured: a single C6H5N3O2 molecule, with wB97M-V/def2-TZVPD.

Computed properties:
Highest occupied orbital energy (alpha / beta) = -9.7 / -8.6 eV
Gap between HOMO and LUMO (alpha / beta) = 8.21 / 7.53 eV
LUMO level (alpha / beta) = -1.486 / -1.091 eV

The geometry in XYZ format:
```
16
Properties=species:S:1:pos:R:3:lowdin_charge:R:1
O -0.0519 0.6112 2.8675 0.055
O -0.2022 -1.3950 2.0387 0.085
N 2.0932 0.4842 1.0391 0.202
N -0.1354 -0.1871 1.9311 -0.397
N -0.2330 1.6852 0.3950 0.127
C -1.4142 -2.2435 -2.2621 -0.090
C -0.7584 -0.5011 -0.4576 0.056
C -1.0277 -1.1896 -1.3901 -0.076
C 2.1237 1.7171 0.8865 -0.194
C -0.2221 0.3131 0.5863 -0.211
C 0.7977 2.3936 0.4292 -0.058
H -2.2977 -1.9813 -2.9116 0.100
H -1.6407 -2.9311 -1.4346 0.101
H 2.9827 2.3228 1.0718 0.096
H -0.7167 -2.5261 -3.1110 0.108
H 0.7026 3.4277 0.3218 0.094
```

<Q>
Computed, not measured: a single C6H5N3O2 molecule, with wB97M-V/def2-TZVPD.